Final Project

Nancy Shaw, cs194-26-abo
CS 194-26 Spring 2020

Seam Carving

Seam carving is an algorithm for content-aware image resizing. The algorithm works by finding and removing a number of seams from an image. Seams are defined to be paths of low energy pixels. The algorithm was first introduced in Seam Carving for Content-Aware Image Resizing.

Unrelated to this piece: materials data >
# 1
Compound: V3PdO
Source: Alexandria via LeMat-Bulk
Functional: PBE+U
Structure: optimized geometry

Output
Electronic total energy ... -23.99 eV/cell
Crystal system ... cubic
Total magnetization ... 9.77 Bohr magnetons per cell

Cell and atoms, written as CIF:
```
data_V3PdO
_chemical_formula_sum 'V3 Pd1 O1'
_cell_length_a 5.0083
_cell_length_b 5.0083
_cell_length_c 5.0083
_cell_angle_alpha 90.00
_cell_angle_beta 90.00
_cell_angle_gamma 90.00
_symmetry_space_group_name_H-M 'P m -3 m'
_symmetry_Int_Tables_number 221
_symmetry_space_group_name_Hall '-P 4 2 3'
loop_
_atom_site_label
_atom_site_type_symbol
_atom_site_fract_x
_atom_site_fract_y
_atom_site_fract_z
V1 V 0.0000 0.0000 0.5000
Pd1 Pd 0.0000 0.0000 0.0000
O1 O 0.5000 0.5000 0.5000
```

---

# 2
Compound: VPd3O
Source: Alexandria via LeMat-Bulk
Functional: PBE+U
Structure: optimized geometry

Output
Electronic total energy ... -27.30 eV/cell
Crystal system ... cubic
Total magnetization ... 3.04 Bohr magnetons per cell
Offset from the most stable computed form ... 0 meV per atom

Cell and atoms, written as CIF:
```
data_VPd3O
_chemical_formula_sum 'V1 Pd3 O1'
_cell_length_a 4.2433
_cell_length_b 4.2433
_cell_length_c 4.2433
_cell_angle_alpha 90.00
_cell_angle_beta 90.00
_cell_angle_gamma 90.00
_symmetry_space_group_name_H-M 'P m -3 m'
_symmetry_Int_Tables_number 221
_symmetry_space_group_name_Hall '-P 4 2 3'
loop_
_atom_site_label
_atom_site_type_symbol
_atom_site_fract_x
_atom_site_fract_y
_atom_site_fract_z
V1 V 0.0000 0.0000 0.0000
Pd1 Pd 0.0000 0.5000 0.5000
O1 O 0.5000 0.5000 0.5000
```

---

# 3
Compound: VPd3O
Source: Alexandria via LeMat-Bulk
Functional: PBE+U
Structure: optimized geometry

Output
Electronic total energy ... -20.72 eV/cell
Crystal system ... cubic
Total magnetization ... 3.03 Bohr magnetons per cell
Offset from the most stable computed form ... 1316 meV per atom

Cell and atoms, written as CIF:
```
data_VPd3O
_chemical_formula_sum 'V1 Pd3 O1'
_cell_length_a 4.6762
_cell_length_b 4.6762
_cell_length_c 4.6762
_cell_angle_alpha 90.00
_cell_angle_beta 90.00
_cell_angle_gamma 90.00
_symmetry_space_group_name_H-M 'P m -3 m'
_symmetry_Int_Tables_number 221
_symmetry_space_group_name_Hall '-P 4 2 3'
loop_
_atom_site_label
_atom_site_type_symbol
_atom_site_fract_x
_atom_site_fract_y
_atom_site_fract_z
V1 V 0.0000 0.0000 0.0000
Pd1 Pd 0.0000 0.0000 0.5000
O1 O 0.5000 0.5000 0.5000
```

---

# 4
Compound: VPdO
Source: Alexandria via LeMat-Bulk
Functional: PBE+U
Structure: optimized geometry

Output
Electronic total energy ... -79.35 eV/cell
Crystal system ... monoclinic
Total magnetization ... 7.98 Bohr magnetons per cell
Offset from the most stable computed form ... 0 meV per atom

Cell and atoms, written as CIF:
```
data_VPdO
_chemical_formula_sum 'V4 Pd4 O4'
_cell_length_a 9.8800
_cell_length_b 2.9586
_cell_length_c 7.5768
_cell_angle_alpha 90.00
_cell_angle_beta 128.17
_cell_angle_gamma 90.00
_symmetry_space_group_name_H-M 'C 1 2/m 1'
_symmetry_Int_Tables_number 12

Seam Removal

Vertical Seam Removal

An important part of the algorithm that was only briefly touched on is the energy function which determines how "important" each pixel is. Unnoticeable pixels that blend with their surroundings should have low energy values.

The energy function we use will be the same as the one described in the seam carving paper:

A vertical seam are just pixels that connect from the top to the bottom of the image (one pixel per row) and vice versa for a horizontal seam.The algorith chooses the seam with the least amount of energy to remove each iteration. By repeatedly carving out or inserting seams, we can retarget the image to a new size. We use dynamic programming to efficiently find the most optimal seam to remove.

Below are some of the results of vertical seam removal. The original image is on the left, and the seam carved image is on the right.

This failure case happened because too many seams were removed-- thus removing the high energy areas well.

Horizontal Seam Removal

Bells and Whistles: Seam Insertion

This was simply a natural extension from removal. We implemented this according to the paper-- we find the seams of the lowest energies and add them to the image in reverse order by averaging the pixel values across the seam.

We also include a failure case-- when we want to add so many seams that the ones we add are also relatively high energy.

Style Transfer


Model: SqueezeNet (chosen primarily because it was a smaller/faster model and my friend mentioned he had good results with this. Better results can probably be obtained with vgg19 which the paper uses). Our loss function is a weighted sum of the content loss, style loss, and total variation loss. Content loss is the average of the difference between the content representation of the target (produced) and original image. Style loss is represented by the Gram Matrix which represents the correlation between the responses of each filter. Total variation loss is just the sum of the squares of differences in pexial values that are next to each other-- which helped smooth out the image a bit.

Hyperparameters: We run an Adam optimizer with an initial learning rate of 3.0 and a decayed learning rate of 0.1 for 200 epochs with varying style and content-loss hyperparameters.


Here we use Neckarfront as our content image and compare the results of a specific style (leftmost) between the paper's NN (middle) and my NN (rightmost). We can see that my model is not as great, but considering that we were using Squeezenet and not vgg19, I would consider the results to be pretty decent.

Other Results

We tried running the model on some other styles with the desert image above. Some of these turned out alright like the anime and wave images-- the colors and shaidng were captured quite nicely. The last image style (pixel) was not captured properly and is most definitely a failure case. We think in this scenario, this is most likely because my model sucked.